(What to do)
Filter the notes further below: keep the lines with the word "xyz", please.
(Listing)
=====
# 1
{
  "formula": "C4H7PS",
  "method": "ωB97M-V/def2-TZVPD",
  "symbols": ["C", "C", "C", "C", "P", "S", "H", "H", "H", "H", "H", "H", "H"],
  "xyz": [[1.47, 0.09, 0.05], [0.28, 1.20, -0.31], [-0.98, 0.38, 0.19], [-0.88, -1.08, -0.37], [0.97, -1.59, -0.16], [2.89, 0.65, 0.62], [0.44, 2.26, 0.20], [0.24, 1.31, -1.45], [-0.78, 0.59, 1.22], [-2.01, 0.88, 0.00], [-1.52, -1.84, 0.20], [-1.06, -1.22, -1.44], [0.93, -1.63, 1.25]],
  "relative_energy_kcal_mol": 18.2,
  "lumo_energy_ev": -0.26,
  "orbital_gap_ha": 0.2975,
  "e_tot_ev": -24383.6139,
  "smiles": "S=C1CCCP1",
  "e_homo_ev": -8.35
}

=====

# 2
{
  "formula": "H12O6",
  "method": "ωB97M-V/def2-TZVPD",
  "symbols": ["O", "H", "H", "O", "H", "H", "O", "H", "H", "O", "H", "H", "O", "H", "H", "O", "H", "H"],
  "xyz": [[1.75, 0.70, -4.29], [2.12, -0.18, -4.35], [2.03, 1.02, -3.43], [-2.49, 1.53, 4.85], [-1.57, 1.52, 5.11], [-2.94, 1.04, 5.55], [3.53, -0.55, 1.20], [3.94, -0.10, 1.94], [2.86, -1.11, 1.59], [-1.69, -0.12, -5.83], [-0.84, 0.08, -5.45], [-2.14, 0.72, -5.87], [0.41, -1.86, 3.06], [-0.24, -1.94, 3.76], [-0.04, -1.36, 2.37], [-1.22, 0.07, 0.06], [-1.45, 0.29, -0.84], [-2.01, 0.25, 0.57]],
  "relative_energy_kcal_mol": 37.2,
  "lumo_energy_ev": 0.32,
  "orbital_gap_ha": 0.4294,
  "e_tot_ev": -12479.5011,
  "smiles": "O.O.O.O.O.O",
  "e_homo_ev": -11.36
}

=====

# 3
{
  "formula": "C28H38BrClN2O6",
  "method": "ωB97M-V/def2-TZVPD",
  "symbols": ["C", "C", "O", "O", "C", "C", "C", "C", "C", "C", "C", "C", "C", "C", "C", "N", "C", "O", "C", "C", "C", "C", "Br", "O", "C", "C", "C", "O", "C", "C", "C", "O", "Cl", "H", "H", "H", "H", "H", "H", "H", "H", "H", "H", "H", "H", "H", "H", "H", "H", "H", "H", "H", "H", "H", "H", "H", "H", "H", "H", "H", "H", "H", "H", "H", "H", "H", "N", "C", "C", "C", "C", "H", "H", "H", "H", "H"],
  "xyz": [[4.52, -0.44, -0.49], [4.16, -1.54, -1.46], [4.75, -2.60, -1.41], [3.19, -1.32, -2.43], [1.93, -1.91, -2.01], [1.11, -0.82, -1.30], [-0.10, -1.32, -0.45], [-0.04, -2.79, 0.01], [-0.95, -3.06, 1.18], [-2.18, -3.63, 0.99], [-3.04, -3.88, 2.01], [-2.66, -3.53, 3.28], [-1.44, -2.96, 3.49], [-0.99, -2.55, 4.89], [-0.58, -2.74, 2.46], [-0.04, -0.40, 0.73], [-0.46, 0.86, 0.14], [0.13, 1.88, 0.39], [-1.66, 0.60, -0.86], [-1.38, 1.57, -2.04], [-2.24, 2.85, -2.08], [-1.78, 3.64, -3.33], [-1.99, 4.04, -0.57], [-2.96, 0.95, -0.43], [-3.37, 0.34, 0.78], [-4.59, 1.15, 1.29], [-4.10, 2.30, 2.20], [-5.48, 0.29, 1.98], [-1.47, -0.91, -1.10], [-1.51, -1.48, -2.55], [-2.81, -2.24, -2.75], [-2.83, -3.41, -3.06], [-4.37, -1.43, -2.46], [4.91, 0.45, -0.99], [5.29, -0.81, 0.17], [3.69, -0.11, 0.15], [2.18, -2.76, -1.38], [1.41, -2.20, -2.92], [1.80, -0.26, -0.67], [0.76, -0.13, -2.07], [-0.22, -3.46, -0.83], [0.99, -2.94, 0.36], [-2.47, -3.91, -0.02], [-3.99, -4.35, 1.82], [-3.35, -3.70, 4.09], [-1.80, -2.07, 5.44], [-0.17, -1.84, 4.78], [-0.61, -3.42, 5.42], [0.39, -2.30, 2.63], [-0.78, -0.57, 1.41], [-1.55, 1.11, -3.02], [-0.35, 1.92, -2.07], [-3.29, 2.62, -2.26], [-1.68, 2.99, -4.20], [-0.82, 4.10, -3.09], [-2.45, 4.47, -3.51], [-2.63, 0.36, 1.58], [-3.74, -0.69, 0.63], [-5.07, 1.56, 0.40], [-4.69, 2.37, 3.11], [-4.17, 3.23, 1.64], [-3.06, 2.20, 2.51], [-5.25, 0.30, 2.91], [-2.14, -1.58, -0.56], [-1.31, -0.76, -3.34], [-0.74, -2.24, -2.63], [6.97, 3.26, -1.11], [5.89, 3.48, -0.30], [6.34, 4.00, 0.88], [7.75, 4.10, 0.78], [8.11, 3.64, -0.45], [6.94, 2.88, -2.04], [4.89, 3.25, -0.64], [5.73, 4.28, 1.72], [8.43, 4.47, 1.54], [9.08, 3.55, -0.92]],
  "lumo_energy_ev": 0.39,
  "orbital_gap_ha": 0.3226,
  "e_tot_ev": -127481.2180,
  "smiles": "CC(=O)OCC[C@@]1(Cc2cccc(C)c2)NC(=O)[C@](C[C@H](C)Br)(OC[C@H](C)O)[C@H]1CC(=O)Cl.c1cc[nH]c1",
  "e_homo_ev": -8.39
}

=====

What is the formula in the first record? C4H7PS

=====

What did the first record say?
{
  "formula": "C4H7PS",
  "method": "ωB97M-V/def2-TZVPD",
  "symbols": ["C", "C", "C", "C", "P", "S", "H", "H", "H", "H", "H", "H", "H"],
=====
(Written answer)
  "xyz": [[1.47, 0.09, 0.05], [0.28, 1.20, -0.31], [-0.98, 0.38, 0.19], [-0.88, -1.08, -0.37], [0.97, -1.59, -0.16], [2.89, 0.65, 0.62], [0.44, 2.26, 0.20], [0.24, 1.31, -1.45], [-0.78, 0.59, 1.22], [-2.01, 0.88, 0.00], [-1.52, -1.84, 0.20], [-1.06, -1.22, -1.44], [0.93, -1.63, 1.25]],
  "xyz": [[1.75, 0.70, -4.29], [2.12, -0.18, -4.35], [2.03, 1.02, -3.43], [-2.49, 1.53, 4.85], [-1.57, 1.52, 5.11], [-2.94, 1.04, 5.55], [3.53, -0.55, 1.20], [3.94, -0.10, 1.94], [2.86, -1.11, 1.59], [-1.69, -0.12, -5.83], [-0.84, 0.08, -5.45], [-2.14, 0.72, -5.87], [0.41, -1.86, 3.06], [-0.24, -1.94, 3.76], [-0.04, -1.36, 2.37], [-1.22, 0.07, 0.06], [-1.45, 0.29, -0.84], [-2.01, 0.25, 0.57]],
  "xyz": [[4.52, -0.44, -0.49], [4.16, -1.54, -1.46], [4.75, -2.60, -1.41], [3.19, -1.32, -2.43], [1.93, -1.91, -2.01], [1.11, -0.82, -1.30], [-0.10, -1.32, -0.45], [-0.04, -2.79, 0.01], [-0.95, -3.06, 1.18], [-2.18, -3.63, 0.99], [-3.04, -3.88, 2.01], [-2.66, -3.53, 3.28], [-1.44, -2.96, 3.49], [-0.99, -2.55, 4.89], [-0.58, -2.74, 2.46], [-0.04, -0.40, 0.73], [-0.46, 0.86, 0.14], [0.13, 1.88, 0.39], [-1.66, 0.60, -0.86], [-1.38, 1.57, -2.04], [-2.24, 2.85, -2.08], [-1.78, 3.64, -3.33], [-1.99, 4.04, -0.57], [-2.96, 0.95, -0.43], [-3.37, 0.34, 0.78], [-4.59, 1.15, 1.29], [-4.10, 2.30, 2.20], [-5.48, 0.29, 1.98], [-1.47, -0.91, -1.10], [-1.51, -1.48, -2.55], [-2.81, -2.24, -2.75], [-2.83, -3.41, -3.06], [-4.37, -1.43, -2.46], [4.91, 0.45, -0.99], [5.29, -0.81, 0.17], [3.69, -0.11, 0.15], [2.18, -2.76, -1.38], [1.41, -2.20, -2.92], [1.80, -0.26, -0.67], [0.76, -0.13, -2.07], [-0.22, -3.46, -0.83], [0.99, -2.94, 0.36], [-2.47, -3.91, -0.02], [-3.99, -4.35, 1.82], [-3.35, -3.70, 4.09], [-1.80, -2.07, 5.44], [-0.17, -1.84, 4.78], [-0.61, -3.42, 5.42], [0.39, -2.30, 2.63], [-0.78, -0.57, 1.41], [-1.55, 1.11, -3.02], [-0.35, 1.92, -2.07], [-3.29, 2.62, -2.26], [-1.68, 2.99, -4.20], [-0.82, 4.10, -3.09], [-2.45, 4.47, -3.51], [-2.63, 0.36, 1.58], [-3.74, -0.69, 0.63], [-5.07, 1.56, 0.40], [-4.69, 2.37, 3.11], [-4.17, 3.23, 1.64], [-3.06, 2.20, 2.51], [-5.25, 0.30, 2.91], [-2.14, -1.58, -0.56], [-1.31, -0.76, -3.34], [-0.74, -2.24, -2.63], [6.97, 3.26, -1.11], [5.89, 3.48, -0.30], [6.34, 4.00, 0.88], [7.75, 4.10, 0.78], [8.11, 3.64, -0.45], [6.94, 2.88, -2.04], [4.89, 3.25, -0.64], [5.73, 4.28, 1.72], [8.43, 4.47, 1.54], [9.08, 3.55, -0.92]],